French and Indian War Begins
The French and Indian War was in between the Indians with help of the French against the US. The Indians were mad because the US kept taking land from them and got tired of it. -
Marie Antoinette was born in Austria. Her parents were Maria Theresa and Fncis 1, the Holy Roman Emperor. That means that she is part of the Hapsburg family. -
Period: to
Marie Anotoinette
Marie is told that she will mary Louis XVI
The reason she is going to to marry Louis XVI is because her parents wanted to reenforce relations with France. They never met until their wedding day and did not know a thing about eachother. -
Misplaced records of crystals.
=====
# Be2CuBr | the Alexandria database | GGA-PBE | relaxed
# Calculated volume in Å³/atom: 16.493
# D(E_F) in states/eV/f.u.: 0.0
# Raw formation energy in eV per atom: 0.56
# Magnetic moment in Bohr magnetons per cell: 0.000
data_Be2CuBr
_chemical_formula_sum 'Be8 Cu4 Br4'
_symmetry_space_group_name_H-M 'I -4 2 d'
_symmetry_Int_Tables_number 122
_symmetry_space_group_name_Hall 'I -4 2bw'
_cell_length_a 5.683
_cell_length_b 5.683
_cell_length_c 8.172
_cell_angle_alpha 90.00
_cell_angle_beta 90.00
_cell_angle_gamma 90.00
loop_
_atom_site_label
_atom_site_type_symbol
_atom_site_fract_x
_atom_site_fract_y
_atom_site_fract_z
Be1 Be 0.231 0.250 0.125
Cu1 Cu 0.000 0.000 0.000
Br1 Br 0.000 0.000 0.500

=====

# InReOsBr2 | the Alexandria database | GGA-PBE | relaxed
# Calculated volume in Å³/atom: 33.575
# D(E_F) in states/eV/f.u.: 3.9
# Raw formation energy in eV per atom: 2.30
# Magnetic moment in Bohr magnetons per cell: 8.770
data_InReOsBr2
_chemical_formula_sum 'In1 Re1 Os1 Br2'
_symmetry_space_group_name_H-M 'P 4/m m m'
_symmetry_Int_Tables_number 123
_symmetry_space_group_name_Hall '-P 4 2'
_cell_length_a 5.472
_cell_length_b 5.472
_cell_length_c 5.607
_cell_angle_alpha 90.00
_cell_angle_beta 90.00
_cell_angle_gamma 90.00
loop_
_atom_site_label
_atom_site_type_symbol
_atom_site_fract_x
_atom_site_fract_y
_atom_site_fract_z
In1 In 0.000 0.000 0.000
Re1 Re 0.000 0.000 0.500
Os1 Os 0.500 0.500 0.500
Br1 Br 0.000 0.500 0.000

=====

# Pm2NpRu3 | the Alexandria database | GGA-PBE | relaxed
# Energy of formation in eV per atom: 0.120
# Calculated volume in Å³/atom: 21.766
# D(E_F) in states/eV/f.u.: 6.9
# Magnetic moment in Bohr magnetons per cell: 3.041
data_Pm2NpRu3
_chemical_formula_sum 'Pm4 Np2 Ru6'
_symmetry_space_group_name_H-M 'I m m m'
_symmetry_Int_Tables_number 71
_symmetry_space_group_name_Hall '-I 2 2'
_cell_length_a 3.312
_cell_length_b 5.673
_cell_length_c 13.903
_cell_angle_alpha 90.00
_cell_angle_beta 90.00
_cell_angle_gamma 90.00
loop_
_atom_site_label
_atom_site_type_symbol
_atom_site_fract_x
_atom_site_fract_y
_atom_site_fract_z
Pm1 Pm 0.000 0.000 0.167
Np1 Np 0.000 0.000 0.500
Ru1 Ru 0.000 0.500 0.141
Ru2 Ru 0.000 0.500 0.500

=====

# KBa14Ir | the Alexandria database | GGA-PBE | relaxed
# Energy of formation in eV per atom: 0.056
# Calculated volume in Å³/atom: 59.923
# D(E_F) in states/eV/f.u.: 22.1
# Magnetic moment in Bohr magnetons per cell: 0.001
data_KBa14Ir
_chemical_formula_sum 'K2 Ba28 Ir2'
_symmetry_space_group_name_H-M 'A m m 2'
_symmetry_Int_Tables_number 38
_cell_length_a 12.076
_cell_length_b 11.153
_cell_length_c 14.237
_cell_angle_alpha 90.00
_cell_angle_beta 90.00
_cell_angle_gamma 90.00
loop_
_symmetry_equiv_pos_as_xyz
'x,y,z'
'-x,-y,z'
'-x,y,z'
'x,-y,z'
'x,y+1/2,z+1/2'
'-x,-y+1/2,z+1/2'
'-x,y+1/2,z+1/2'
'x,-y+1/2,z+1/2'
loop_
_atom_site_label
_atom_site_type_symbol
_atom_site_fract_x
_atom_site_fract_y
_atom_site_fract_z
K1 K 0.000 0.000 0.000
Ba1 Ba 0.000 0.241 0.241
Ba2 Ba 0.183 0.179 0.505
=====
Boston Massacre
The Boston Massacre was a tragady that happened before the American Revolution. British Soldiers opened fired at Massachusett's citizens and killed 5 people. It is said that those 5 deaths were the first of the many of the American Revolution. -
Marie Antoinette marries Louis XVI
Marie went to France to finally meet her finace. As soon as she gets there they get marry. They got married in Versailes and it was one of the most beautifui occations ever there. There were over 5000 guests that attended.. -
Marie becomes Queen
In 1744 Louis succeeded King Louis XV making him Louis XVI and she became Queen. While she was Queen she spent a lot of money and was also a big gambler. She wore many beautiful dresses and had over 300 of them and they took over 3 large room just to store. -
Marie's first child is born
Marie's first daughter Marie-Thérèse Charlotte was born. She is the only child out of all of Marie Antoinette's children that live. Her daughter lived until the age of 72. -
French Revolution starts
Next to the piece, the page also holds crystal structures.
~~~
DFT (GGA-PBEsol) results for a geometry-optimized CdCo2Sb structure.

- uncorrected formation energy (eV per atom) = 0.19
- final energy (eV/atom) = -5.12

abc: 3.084 3.084 6.213
angles: 90.00 90.00 90.00
Space group P4/mmm (No. 123)
One atom of each set of equivalent atoms:
Cd: 0.000 0.000 0.000 x1
Co: 0.500 0.500 0.277 x2
Sb: 0.000 0.000 0.500 x1

~~~~~

A relaxed structure of LiGaTeBr2, computed with GGA-PBE.

Results
electronic total energy	-2.503	eV per atom
formation energy (no corrections)	-0.22	eV per atom
M_tot	0.0	μB per cell

```
LiGaTeBr2
1.0
-3.273 1.425 -3.383
3.153 -2.288 -4.014
-2.406 -4.256 0.536
Br Li Ga Te
2 1 1 1
Direct
0.500 0.000 0.000
0.000 0.000 0.500
0.000 0.000 0.000
0.000 0.500 0.000
0.500 0.500 0.500
```



A relaxed structure of Sc2TcPd, computed with GGA-PBE.

Results
ΔE to the lowest computed polymorph	0	meV/atom
electronic total energy	-7.635	eV per atom
energy of formation	-2.32	eV/f.u.
M_tot	0.0	μB per cell

```
Sc2TcPd
1.0
-2.310 2.321 0.376
-0.934 -0.423 -3.132
-4.231 -4.514 1.871
Tc Sc Pd
1 2 1
Direct
0.500 0.500 0.000
0.000 0.000 0.238
0.000 0.000 0.762
0.500 0.500 0.500
```



A relaxed structure of MgSbCl2, computed with GGA-PBE.

Results
ΔE to the lowest computed polymorph	818	meV/atom
electronic total energy	-2.657	eV per atom
formation energy (no corrections)	-0.30	eV per atom
M_tot	0.0	μB per cell

```
MgSbCl2
1.0
5.449 0.001 0.000
-1.816 5.137 0.000
0.000 0.000 3.352
Sb Cl Mg
1 2 1
Direct
0.000 0.500 0.500
0.500 0.500 0.000
0.000 0.000 0.000
0.500 0.000 0.500
```



Question: The highest electronic total energy belongs to which entry?
Answer: LiGaTeBr2



Question: Which formula does entry 3 have?
Answer: MgSbCl2



Question: Among the records above, which one has the highest electronic total energy?
Answer: LiGaTeBr2

~~~~~

# 1
Rb2SrHI6, optimized geometry, DFT PBE; space-group type = I4/mmm; DOS at the Fermi energy = 13.7 states/eV per cell; raw total energy = -2.57 eV/atom
1.0
-3.9587 2.3313 8.1815
-6.1492 -7.0200 -0.9751
-1.8091 -5.5309 6.0813
I Sr Rb H
6 1 2 1
Direct
0.3170 0.3170 0.3659
0.6830 0.6830 0.6341
0.2402 0.2402 0.0000
0.7598 0.7598 0.0000
0.7598 0.2402 0.0000
0.2402 0.7598 0.0000
0.0000 0.0000 0.0000
0.7500 0.2500 0.5000
0.2500 0.7500 0.5000
0.5000 0.5000 0.0000

---

# 2
RbSrHI2, optimized geometry, DFT PBE; space-group type = P4/mmm; DOS at the Fermi energy = 0.0 states/eV per cell; raw total energy = -3.01 eV/atom
1.0
6.5773 0.0000 0.0000
0.0000 6.5773 0.0000
0.0000 0.0000 4.6811
I Sr Rb H
2 1 1 1
Direct
0.0000 0.5000 0.0000
0.5000 0.0000 0.0000
0.0000 0.0000 0.0000
0.5000 0.5000 0.5000
0.0000 0.0000 0.5000

~~~~~
~~~
THe reasoning of the French Revolution ws that people were happy with their goverenment and wanted a change. When they rebelled they forced Marie and her family to leave Paris. Austria was frustrated at what they did and attacked France and made Marie a traitor. -
Marie Antoinettes first son dies
The name of Marie Antoinette's first born son was Louis-Joseph. He did not live that long due to having tuberculosis. He only lived until the age of seven. -
Marie and her family leave France
During the French Revokution, Marie and her family were wanted to be kicked out of power becuase of how bad they were. They left before Austria could attack France and she then was known not only as a foreignor but a traitor. -
The Coinage Act of 1792
The Coinage Act was an act in the United States that helped put together an organised monetary system that introduced coinage in gold, silver, and copper. It was important becuase it sets up a naional currency which is later set up. -
Marie and Louis get arrested
Marie Antoinette and her husband were forced back to Paris. When they got back Louis was forced to agree to the Constitution they made. They both got charged with the same crime which was treason. -
King Louis XVI was killed
Marie husband Louis was convicted of treason and was found trial and found gulity and was sent to the guillotine. His death made Marie a widow however she is also found guilty and is found gulity of treason. He was only 39 years old when he died. -
Marie is sent to guillotine
Marrie was arrested just like her husband Louis and was for the same charge. She was also found gulity and when she was sent to the guillotine she accident;ly stepped on her executioner foot and is remembered becuase she apologized saying she did not mean to do it. She was only 37 when she died. -
French Revolution ends
The French Revolution was a major imoportant thing in France. After the revolution, France became known as the first European country to have a republic. Also a person named Napoleon became in charge and led France in many wars and many people died. -
Marie and King Louis are given a formal burial
The intresenting thing abut this is that it took over 20 years for her and her husband to be buried. Who knows where they were. All we know was that they were placed in a coffin as soon as they were exectuted.